Blog and News > trends > Would You Ignore A Prospect Who Walked Into Your Shop?
Would You Ignore A Prospect Who Walked Into Your Shop?
Seems a simple enough question. And for most of us, the answer should be pretty simple. Yet even in this age of enhanced interaction and increased competition, many of us still regularly experience terrible prospect service.

Seems a simple enough question.
And for most of us, the answer should be pretty simple.
Yet even in this age of enhanced interaction and increased competition, many of us still regularly experience terrible prospect service.
We all know how it feels to be ignored when trying to make a buying decision.
We’re at the last hurdle and simply need to know whether it ‘comes in blue’ or if it can be ‘delivered before Tuesday’ and we’d be happy to make the purchase there and then.
But instead, we’re ignored.
Which makes us start thinking that we probably don’t want it that much anyway before putting it back on the shelf.
Imagine the percentage of sales that break down at that stage.
Sales that would have easily reached a purchase if the customer was shown just a little attention.
On the flip side, think of the last time you received superb service…
Most of us know how great it feels to receive quality service. You can probably recall at least one scenario when receiving excellent service was the real clincher to you making the purchase.
Dealing with somebody we like who is politely keen to deliver us excellent service and make us feel valued can sometimes be the only factor to buying.
Research shows that customers will happily and knowingly pay more to deal with somebody they feel understands them and values them.
Even when going through typical ‘3-quote’ research cycle, a customer who comes across a prospective supplier they like and deem as placing higher value on their business will almost invariably return to that same supplier to do the deal or even offer a ‘last-refusal’.
Because people love to feel valued.
Yet, with all this in mind it amazes the marketing world that some businesses still choose to only engage with prospects when prospects choose to engage with them.
It’s like that guy at the trade show who pretends he’s busy as prospects go walking by.
Contently ignoring golden opportunities whilst they float off to the attention of their competitors.
As though it could somehow be offensive to reach out to a prospect and show them you care.
I mean, which prospect wouldn’t love to hear their business is valued?
Because deep down, every prospect prefers to deal with somebody they know understands them and appreciates their business.
And this is exactly why web visitor analytics tools have become so popular.
[Inserted here: crystal structures]
<<<
VASP calculation (PBE-GGA) on a relaxed ZrMn2Sb crystal.

Computed properties:
raw formation energy: 0.042 eV/atom

Cell: 3.4277 3.4277 6.0198 Å, 90.00 90.00 90.00°
Last column: nearest neighbours and their distance in Å.
Sites, in units of the cell vectors:
Mn (0.5000, 0.5000, 0.2385)  4 Mn 2.76, 1 Zr 2.78, 4 Sb 2.79
Mn (0.0000, 0.0000, 0.0175)  1 Sb 2.70, 4 Mn 2.76, 4 Zr 2.82
Zr (0.5000, 0.5000, 0.7774)  5 Mn 2.78-2.82, 4 Sb 3.06
Sb (0.0000, 0.0000, 0.4666)  5 Mn 2.70-2.79

* * * * *

No. 1
! Na3BN, optimized geometry, DFT GGA-PBEsol; values from VASP
&SYSTEM
  ibrav = 0, nat = 5, ntyp = 3
/
ATOMIC_SPECIES
Na 22.99 Na.upf
N 14.01 N.upf
B 10.81 B.upf
CELL_PARAMETERS angstrom
-2.901 -3.503 -2.095
-1.230 -1.700 4.546
-3.892 3.149 0.125
ATOMIC_POSITIONS angstrom
Na -0.615 -0.850 2.273
Na -1.451 -1.751 -1.047
Na -1.946 1.574 0.062
N -4.011 -1.027 1.288
B 0.000 0.000 0.000
! DOS(E_F): 4.392 states/eV/f.u.
! ΔE_f (raw): 151.95 kJ per mole of atoms
! total magnetic moment: 3.4 μB/f.u.
! space-group type: Pm-3m

No. 2
! NaBN2, optimized geometry, DFT GGA-PBEsol; values from VASP
&SYSTEM
  ibrav = 0, nat = 8, ntyp = 3
/
ATOMIC_SPECIES
N 14.01 N.upf
B 10.81 B.upf
Na 22.99 Na.upf
CELL_PARAMETERS angstrom
-0.187 3.852 -1.268
-3.984 -0.412 -0.662
1.254 -0.386 5.141
ATOMIC_POSITIONS angstrom
N -1.308 2.372 0.174
N -3.279 1.735 -0.015
N -0.893 1.941 2.778
N -0.354 0.061 3.486
B -0.510 2.593 1.454
B -2.086 1.720 -0.965
Na 0.000 0.000 0.000
Na -2.408 0.461 1.757
! DOS(E_F): 0.228 states/eV/f.u.
! ΔE_f (raw): -14.79 kJ per mole of atoms
! total magnetic moment: 0.0 μB/f.u.
! space-group type: I-42d

No. 3
! NaSr4B3N6, optimized geometry, DFT GGA-PBEsol; values from VASP
&SYSTEM
  ibrav = 0, nat = 14, ntyp = 4
/
ATOMIC_SPECIES
Sr 87.62 Sr.upf
N 14.01 N.upf
Na 22.99 Na.upf
B 10.81 B.upf
CELL_PARAMETERS angstrom
-4.922 -1.799 3.831
5.620 -1.780 2.717
-0.091 6.446 -0.756
ATOMIC_POSITIONS angstrom
Sr -0.046 3.223 -0.378
Sr 0.303 1.433 2.896
Sr -2.461 -0.900 1.915
Sr 2.810 -0.890 1.359
N -3.407 3.158 2.089
N 0.224 -1.147 2.098
N 1.772 1.495 0.628
N 3.757 3.171 1.333
N 0.474 -2.432 4.450
N -1.606 1.489 0.985
Na 0.000 0.000 0.000
B -2.507 2.324 1.537
B 0.349 -1.790 3.274
B 2.764 2.333 0.981
! DOS(E_F): 0.000 states/eV/f.u.
! ΔE_f (raw): -109.76 kJ per mole of atoms
! total magnetic moment: 0.0 μB/f.u.
! space-group type: Im-3m

No. 4
! NbBN2, optimized geometry, DFT GGA-PBEsol; values from VASP
&SYSTEM
  ibrav = 0, nat = 4, ntyp = 3
/
ATOMIC_SPECIES
B 10.81 B.upf
Nb 92.91 Nb.upf
N 14.01 N.upf
CELL_PARAMETERS angstrom
-0.227 2.564 1.030
-1.497 1.907 -1.345
-5.176 -0.079 2.789
ATOMIC_POSITIONS angstrom
B -3.449 2.196 1.237
Nb 0.000 0.000 0.000
N -3.355 3.915 0.711
N -3.544 0.478 1.762
! DOS(E_F): 2.475 states/eV/f.u.
! ΔE_f (raw): 59.99 kJ per mole of atoms
! total magnetic moment: 0.0 μB/f.u.
! space-group type: R-3m

No. 5
! Nb3BN, optimized geometry, DFT GGA-PBEsol; values from VASP
&SYSTEM
  ibrav = 0, nat = 5, ntyp = 3
/
ATOMIC_SPECIES
N 14.01 N.upf
B 10.81 B.upf
>>>
Because identifying who is coming to your website and behaving like a prospect, and then respectfully reaching out to those prospects to show them you value their business - is the fastest and most cost-efficient way of adding 20% to your bottom line.
And with a ground-breaking visitor level tracking tool like CANDDi being able to show you the opt-in individuals that are most interested in your products or services, it is no wonder that so many businesses are working smarter to reach out to their warmest prospects and show they care.
Because effective sales and marketing is not just about knowing what to do.
It’s about also knowing when & where to do it.
Are you still ignoring the prospects coming to your website?
Get in touch on +44 161 414 1080 or fill out the form on the right hand side to book a free demonstration and see how you can reach out to your warmest prospects to show them you care.
Paul Clarke
+44 161 414 1080